
Shang Jiuxi: Deyun She's worst "Pickpocket Coat", now chasing the light rap out of the circle, opening a slash life

author:Phoebe Nine-Nine

2020 is a "magical" year for Shang Jiuxi, a young cross-talk actor of the Deyun Society. That year he experienced the ups and downs of his life, great joys and sorrows.

That year, Shang Jiuxi, who had worked with the partner for 7 years, suddenly proposed to "break up", and there was no room for negotiation at all.

That year, Shang Jiuxi participated in the recording of the Deyun Society's comprehensive "Deyun Dou Laughing Society", but became a man living in the tidbits.

That year, Shang Jiuxi and his master Guo Degang partnered to perform "Pickpocketing Horse Coat", but it was rated by netizens as the worst "Pickpocketing Horse Jacket" in the history of Deyun Society.

That year, Shang Jiuxi's life and career fell to the bottom.

Roman. Roland once said: The greatest courage in life is to recognize the essence of life and still love life.

In the face of "bad comments" and unsatisfactory life, Shang Jiuxi was once confused, but after the confusion, Shang Jiuxi re-examined himself, re-embarked on his own path of chasing light, and opened his own slash life.

Shang Jiuxi: Deyun She's worst "Pickpocket Coat", now chasing the light rap out of the circle, opening a slash life

From TV station art students to cross-talk elementary school students

Shang Jiuxi, whose real name is Shang Wenbo, a native of Fushun, Liaoning, graduated from Beijing Fashion Institute and is a representative of the high education of Deyun Society's "Culture Limited" company.

In 2012, he entered the Deyun Society to learn cross-talk, and in September 2015, he officially studied with Guo Degang and became the second batch of members of the "Nine" Character Section of the Deyun Society.

Before entering deyun society, Shang Jiuxi, who graduated from university, worked as an intern choreographer at Tianjin Television Station, and his main job was to make special effects for the P-chart of variety shows.

By chance, Shang Jiuxi was in charge of a program called "Tonight There is a Play", and the host of this program was named Guo Degang.

Shang Jiuxi: Deyun She's worst "Pickpocket Coat", now chasing the light rap out of the circle, opening a slash life

In this way, Shang Jiuxi opened a wonderful fate with Guo Degang and the people of the Deyun Society.

Shang Jiuxi is a professional art student, his P-chart and special effects ideas are novel, holding the characteristics of Guo Degang, funny but not exaggerated, which impresses Guo Degang and Yue Yunpeng and others.

Shang Jiuxi: Deyun She's worst "Pickpocket Coat", now chasing the light rap out of the circle, opening a slash life

After the program was recorded, Deyun's people were willing to chat and joke with Monk Jiuxi. Shang Jiuxi, who was originally interested in cross-talk, liked cross-talk even more after contacting Guo Degang and Deyun She, and even had the idea of joining them.

Shang Jiuxi: Deyun She's worst "Pickpocket Coat", now chasing the light rap out of the circle, opening a slash life

In 2012, when he learned of the second batch of "nine" character subject enrollment of Deyun Society, Shang Jiuxi resolutely resigned from the stable job of the TV station, applied for the Deyun Society, and finally conquered the on-site judges with a northeast version of "Tethered Dolls" and successfully entered the Deyun Society.

There is a rule in the Deyun Society: no matter what work you do before, after entering the Deyun Society, you must start from the most basic students.

Shang Jiuxi, who entered the Deyun Society, did not lose his old line of work while learning the basic skills of cross-talk, and picked up a paintbrush from time to time and painted in the background.

When he first entered the Deyun Society, Shang Jiuxi was once again impressed by Guo Degang because of a painting.

********
Entry 1:
Density functional theory data (ωB97M-V with the def2-TZVPD basis set) for a cluster of 2 separate species, C8H16O2 in total.

Summary:
* HOMO: -8.5 eV
* ΔE to the lowest compared entry with this formula, charge and spin: 2.5545 eV

Each line ends with the Mulliken charge.
Atoms and positions in Å:
C 0.933127 -2.180644 -0.329511  -1.54
C 1.430620 -0.953444 -0.335797  1.43
C 1.703857 -0.246540 -1.631435  -1.67
C 1.734687 -0.216806 0.903039  0.67
C 2.389987 0.947044 0.942150  -0.97
O 1.344161 -0.771794 2.089844  -0.60
H 0.758846 -2.753786 0.569361  0.34
H 0.728257 -2.711886 -1.245970  0.32
H 2.757389 0.005380 -1.721615  0.40
H 1.126507 0.672612 -1.692209  0.27
H 1.428161 -0.883693 -2.465677  0.40
H 2.586994 1.419363 1.886714  0.29
H 2.786993 1.417477 0.065228  0.29
H 0.604425 -1.365088 1.922775  0.32
C -0.958754 2.134136 0.546475  -1.00
C -2.054387 1.149705 0.172498  -0.37
O -1.486407 -0.130581 0.001900  -0.09
C -2.419618 -1.105375 -0.370675  -0.79
H -1.374709 3.137228 0.628617  0.41
H -0.507499 1.851623 1.495708  0.25
H -0.179783 2.131186 -0.211237  0.15
H -2.830037 1.117116 0.954235  0.33
H -2.535809 1.460646 -0.769441  0.32
H -3.193260 -1.239680 0.398568  0.31
H -1.862110 -2.029312 -0.486498  0.21
H -2.911638 -0.854885 -1.317046  0.31

Atoms 1-6, force components in eV/Å:
C 0.08 -0.48 0.11
C 0.13 0.24 -0.21
C -0.09 -0.10 0.09
C 0.18 0.38 0.16
C -0.05 -0.44 0.03
O -0.07 -0.03 -0.03

Entry 2:
Density functional theory data (ωB97M-V with the def2-TZVPD basis set) for a structure of composition C44H35N3O5SSi in a non-equilibrium geometry.

Summary:
* HOMO: -9.1 eV

Each line ends with the Mulliken charge.
Atoms and positions in Å:
C 4.308992 -2.317810 0.746968  -0.95
Si 4.043395 -2.081578 -1.151712  0.54
C 3.978984 -0.202056 -1.440245  -0.84
C 5.602581 -2.871801 -1.963511  -0.99
O 2.658693 -2.958827 -1.652344  -0.54
C 1.453220 -2.188502 -1.693573  -0.28
C 0.776235 -1.932717 -0.288218  -0.14
C -0.308783 -0.792524 -0.313459  0.50
C 0.108616 0.634496 -0.010721  -0.59
C -0.874560 1.726558 0.010432  -1.10
C -2.310564 1.421549 -0.266117  0.34
N -3.328292 2.363507 -0.237780  -0.64
S -4.713681 1.486708 -0.600175  0.13
N -4.153181 -0.081021 -0.809282  -0.73
C -2.785886 0.003900 -0.595200  1.21
C -1.735838 -1.064029 -0.609714  0.78
C -2.103127 -2.536607 -0.944162  -0.49
C -2.131227 -2.931794 -2.385058  -0.32
C -2.440726 -4.357441 -2.693004  -0.52
C -2.686491 -5.246287 -1.543016  -0.22
N -2.698046 -4.912268 -0.212413  -0.62
C -2.405200 -3.595847 0.039794  0.10
H 3.586835 -1.586098 1.232348  0.26
H 4.150024 -3.374740 1.083464  0.27
H 5.338957 -1.917362 1.007166  0.33
H 3.390850 0.062192 -2.369911  0.30
H 3.440080 0.250925 -0.548838  0.15
H 5.031636 0.184128 -1.483262  0.38
H 5.448933 -2.924664 -3.074193  0.28
H 5.719854 -3.901850 -1.504811  0.26
H 6.478556 -2.218804 -1.670719  0.29
H 0.707895 -2.804499 -2.290917  0.16
H 1.544161 -1.218462 -2.279668  0.16
H 0.263401 -2.896558 0.008812  0.34
H 1.482776 -1.678416 0.546916  0.15
********
End of the data records =

Shang Jiuxi: Deyun She's worst "Pickpocket Coat", now chasing the light rap out of the circle, opening a slash life

One day, Guo Degang found a painting in the background, which was a group photo of the people of the Deyun Society in the background many years ago. At that time, Mr. Zhang Wenshun was still alive, and now that he has been dead for many years, guo Degang can't help but feel sad when he sees the old predecessors and old partners in the painting.

But looking closely, Guo Degang found that the person who painted the painting was very attentive, and he painted a halo on The head of Mr. Zhang Wenshun, implicitly indicating that Mr. Zhang has left, and also making the "crooked neck" old man more cute.

Guo Degang asked the people around him: Who painted this painting?

People around him told Guo Degang that it was painted by a new student named Shang Wenbo.

Guo Degang was interested when he heard the name, and joked: Yo, the word "Wen" (generation)?

What is the concept of "Wen" in Deyun Society? It is with Zhang Wenshun, Zhang Wenliang, and Xie Jin that they are the same generation. When Guo Degang saw it, he would honor him as a master and uncle.

In this way, between jokes, Shang Wenbo's name deepened a few points in Guo Degang's heart.

Shang Jiuxi: Deyun She's worst "Pickpocket Coat", now chasing the light rap out of the circle, opening a slash life

Later, Shang Wenbo gave the word "Jiuxi", which literally means sunshine and light. But some people joke that it is because Shang Jiuxi met his master Guo Degang in "Tonight There is a Play", and "Xi" and "drama" are homophonous.

In any case, the master gave the word and gave the stage name, which was initially recognized by the master.

On September 13, 2015, Shang Jiuxi, who had only been in the Deyun Society for three years, officially studied with Guo Degang and became a true disciple of Guo Men, and when he performed on stage, he could claim to be a primary school student in the cross-talk industry.

Shang Jiuxi: Deyun She's worst "Pickpocket Coat", now chasing the light rap out of the circle, opening a slash life

**Misplaced quantum chemistry results**
┌──
Entry 1:
Computed, not measured: a molecular structure, C13H13Cl2N2OPdSbSeTe at a distorted geometry, with wB97M-V/def2-TZVPD.

XYZ file:
```
35
Properties=species:S:1:pos:R:3:forces:R:3
Pd 1.290 -1.218 -0.251 -0.1 1.0 -0.4
Cl -2.916 1.101 0.049 -0.6 0.2 -0.1
C -1.484 2.053 -0.006 1.0 -0.5 -0.2
C -1.478 3.394 0.350 0.4 0.4 0.1
C -0.294 4.101 0.380 -0.4 -0.4 0.0
Cl -0.329 5.790 0.719 0.0 0.4 0.1
C 0.947 3.456 0.166 -0.1 -0.2 -0.1
C 2.216 4.050 0.317 0.2 -0.1 0.0
C 3.341 3.275 0.178 -0.1 0.3 0.0
C 3.209 1.907 -0.090 -0.2 -0.1 -0.1
N 2.042 1.342 -0.293 0.3 0.0 0.0
C 0.930 2.087 -0.197 -0.4 0.2 0.2
C -0.314 1.388 -0.412 -0.4 0.5 0.2
O -0.331 0.211 -0.897 0.1 -0.5 0.1
H -2.413 3.873 0.590 -0.1 0.2 0.0
H 2.287 5.101 0.555 0.0 0.0 0.0
H 4.327 3.698 0.279 0.1 0.1 0.1
H 4.075 1.257 -0.148 0.1 0.0 0.0
C -3.625 -2.466 0.489 0.4 0.4 0.2
Sb -1.505 -1.881 0.531 -0.3 -1.6 -0.7
C -1.174 -2.438 -1.537 0.3 0.4 0.0
C -0.743 -3.815 1.175 -0.1 0.3 0.0
H -3.722 -3.301 -0.190 0.1 -0.2 -0.2
H -4.243 -1.642 0.160 -0.1 0.2 -0.1
H -3.912 -2.759 1.487 -0.1 -0.1 0.3
H -1.338 -3.508 -1.646 0.0 -0.1 0.1
H -0.144 -2.191 -1.842 -0.5 -0.2 0.0
H -1.848 -1.884 -2.184 -0.1 0.1 0.0
H -1.396 -4.586 0.770 0.0 -0.1 0.0
H -0.707 -3.907 2.259 0.0 0.0 0.1
H 0.262 -3.925 0.756 -0.3 0.0 0.1
Te 1.143 -0.892 2.234 0.1 0.1 0.5
Se 3.298 -1.228 -1.778 0.3 0.5 -0.2
C 2.540 -2.738 -1.175 0.5 -1.3 -0.3
N 2.010 -3.707 -0.798 -0.1 -0.1 0.2
```
Positions in Å, forces in eV/Å.

The HOMO energy (alpha / beta) comes out at -7.471 / -7.391 eV. The calculation puts the molecular weight at 718.91 g/mol. The energy comes out at -126417.687 eV. Its largest force on an atom is 0.0335 hartree/bohr. Its spin multiplicity is 5. As for the charge: 0.

Entry 2:
Computed, not measured: 5 unconnected molecules or ions with the total composition C40H75Br2FIN3OP at a distorted geometry, with wB97M-V/def2-TZVPD.

XYZ file:
```
124
Properties=species:S:1:pos:R:3:forces:R:3
C 1.801 -1.570 1.914 0.6 -0.7 -0.3
C 0.838 -1.607 0.645 0.8 0.6 -2.3
N 1.382 -1.543 -0.562 -1.9 -0.4 3.3
C -0.783 -1.768 0.715 0.4 -0.4 0.1
C -1.467 -0.930 1.900 1.8 -2.1 1.4
N -2.709 -0.144 1.648 -2.4 1.8 1.0
C -3.269 0.472 0.423 -0.9 3.2 -4.3
C -3.081 2.022 0.206 -2.2 -2.1 -2.9
C -3.740 2.621 -1.088 0.0 -3.9 1.7
C -4.510 1.632 -2.003 1.1 0.4 1.5
N -4.672 0.223 -1.837 2.5 3.0 3.5
C -4.071 -0.299 -0.654 0.9 1.1 0.8
C -3.481 0.020 2.719 1.6 -0.6 -0.5
C -2.788 -0.688 3.985 -0.5 0.0 0.5
F -1.864 0.293 4.505 -0.9 -1.2 -1.0
C -3.735 -1.087 5.199 -2.2 1.8 1.5
Br -3.836 -2.932 5.981 0.5 1.8 -1.3
C -4.581 -0.118 5.839 1.7 -1.3 -1.4
C -4.701 1.415 5.400 -0.6 -0.3 0.3
Br -5.715 -0.651 7.401 1.2 0.8 -1.8
C -1.987 -1.821 3.179 -1.4 1.2 0.0
I -3.618 -3.012 2.258 0.2 -0.4 0.6
P -0.607 -2.741 4.100 1.3 -0.1 1.0
C -0.969 -4.594 4.208 -0.8 -0.3 0.1
O -0.637 -2.177 5.744 -0.2 -1.6 -1.6
H 2.908 -1.467 1.592 -2.0 0.0 0.1
H 1.751 -2.589 2.459 -0.1 1.9 -0.8
H 1.604 -0.718 2.647 -0.1 -1.3 -0.9
H 0.626 -1.613 -1.264 0.5 0.1 0.2
H -1.231 -1.469 -0.296 0.7 -0.3 1.4
└──

From a primary school student in the cross-talk industry to an exchange student of "Liu Laogen'er"

Worshiping the master and knowing means that the ability and identity are recognized by the master Guo Degang, but it does not mean that the fame becomes a wrist. After all, before the "Nine" character family, there were still many "crane" character families and even the "cloud" character family's brothers and brothers who were still unknown.

If the cross-talk actors of The Tokuunsha want to get ahead, they must have their own unique performance style. At that time, Yue Yunpeng's performance style was "cheap", and Zhang Yunlei's performance style was "charming".

What Shang Jiuxi can do is to constantly polish his works, design the baggage structure, find his own performance style, first find a way to let the audience remember himself, and then let the audience like himself.

Gradually, Shang Jiuxi found his own style - imitation. Whether it is the unique English accent of the northeast teacher or the cartoon characters he watched as a child, Shang Jiuxi has imitated it perfectly, and even the "ghost animals of Zhuge Liang" in the b station have been imitated with great picture sense and appeal.

Shang Jiuxi: Deyun She's worst "Pickpocket Coat", now chasing the light rap out of the circle, opening a slash life

In the creation of cross-talk, Shang Jiuxi will also add some grounded elements to collide with different sparks.

In the traditional cross-talk "Yellow Crane Tower", Shang Jiuxi joined the lyrics in the duo's "Little Bye Nian", "It is the New Year in the first month, and the first day of the New Year is ah." The humor that comes with the bones of the northeast people, coupled with Shang Jiuxi's super imitation ability, the proper Liu Laogen'er "exchange student."

Every time he went to the small theater in the northeast to perform, the audience encouraged Shang Jiuxi to go to Liu Laogen'er's big stage to see, saying that it was his real "root".

In terms of language organization and baggage structure, Shang Jiuxi has also made sufficient efforts, whether it is his self-created English knowledge point summary self-introduction, or a paragraph adapted from his own travel experience, his cross-talk laughter points are dense, close to life, attracting more and more audiences to like his performance style.

One day, Shang Jiuxi opened the Weibo private message, and replied in one color: Hahahahahahaha Since then, Shang Jiuxi has appointed himself as the "guillotine" of Deyun.

Shang Jiuxi: Deyun She's worst "Pickpocket Coat", now chasing the light rap out of the circle, opening a slash life

Later, some viewers posted the video of Shang Jiuxi's performance in Xiaoyuanzi on the Internet, and more and more people knew this cross-talk actor who was constantly honing and becoming more mature in Xiaoyuanzi.

"The little penguin packed his bags, carried small fish bags, and rushed to Inner Mongolia on foot. Okay, a merciless avalanche destroyed my home, and well-meaning people live in peace."

In the traditional cross-talk "Learn Manchu", Shang Jiuxi's "inspirational story" of the little penguin rushing from Antarctica to Inner Mongolia won him the nickname of "Father of penguins", and for a time the "little penguin" once again wandered on major short video platforms.

Although the "Little Penguin" is on fire, Shang Jiuxi soberly realizes that I am glad that the audience can remember my baggage, but I can't expect a baggage to eat for a lifetime.

=====
1.
# C18H27NO2

The molecule C18H27NO2 (ωB97M-V/def2-TZVPD, OMol25).

Structure (ORCA input):
```
! RIJCOSX wB97M-V def2-TZVPD def2/J DEFGRID3
* xyz 0 1
C -1.004 4.893 -0.634
C -0.072 4.170 0.291
C 0.250 4.683 1.535
C 1.105 3.988 2.377
C 1.653 2.775 2.005
C 1.327 2.253 0.743
C 0.474 2.950 -0.098
H 0.220 2.561 -1.072
O 1.901 1.050 0.440
C 1.627 0.465 -0.814
C 2.337 -0.885 -0.857
C 2.055 -1.622 -2.167
C 0.558 -1.752 -2.428
O 0.002 -1.215 -3.363
N -0.088 -2.519 -1.527
H 0.418 -2.888 -0.739
C -1.531 -2.661 -1.513
C -1.927 -3.996 -0.882
C -1.650 -4.025 0.621
C -2.333 -2.854 1.323
C -1.880 -1.528 0.721
C -2.195 -1.493 -0.771
H -3.275 -1.559 -0.917
H -1.855 -0.556 -1.214
H -2.385 -0.700 1.221
H -0.806 -1.398 0.878
H -2.105 -2.879 2.391
H -3.416 -2.949 1.210
H -2.011 -4.968 1.035
H -0.574 -3.981 0.810
H -2.995 -4.149 -1.049
H -1.391 -4.807 -1.378
H -1.845 -2.633 -2.563
H 2.486 -1.070 -3.003
H 2.507 -2.616 -2.138
H 2.007 -1.473 0.003
H 3.411 -0.723 -0.746
H 1.987 1.107 -1.629
H 0.545 0.322 -0.940
C 2.579 2.011 2.900
H 3.533 1.849 2.401
H 2.749 2.548 3.829
H 2.160 1.032 3.125
H 1.351 4.400 3.345
H -0.163 5.629 1.852
H -1.966 4.382 -0.673
H -0.601 4.918 -1.645
H -1.172 5.913 -0.298
*
```

Output
Strongest force on any atom, eV/A: 0.67
LUMO, eV: 0.7
Energy relative to the best compared isomer or geometry (same formula, charge and spin), kcal/mol: 0.00

=====

2.
# C18H27NO2P

A cluster of 2 separate species, C18H27NO2P in total at a distorted geometry (ωB97M-V/def2-TZVPD, OMol25).

Structure (ORCA input):
```
! RIJCOSX wB97M-V def2-TZVPD def2/J DEFGRID3
* xyz 1 1
C 4.928 -2.174 1.368
C 5.922 -1.047 1.803
C 5.571 0.472 1.782
C 4.142 0.951 1.324
C 3.872 2.519 1.282
P 2.452 3.127 2.361
C 1.335 1.782 3.066
O 0.033 2.361 3.453
C -0.956 1.414 2.951
C -1.166 0.108 3.802
C -2.175 -0.941 3.288
C -2.947 -0.701 1.938
C -2.753 0.595 1.120
C -1.740 1.667 1.634
C 3.153 -0.167 0.920
C 3.501 -1.676 0.942
H 5.224 -3.287 1.361
H 6.961 -1.374 2.120
H 6.357 1.238 2.099
H 4.832 3.042 1.658
H 3.713 2.898 0.202
H 2.939 4.030 3.383
H 1.616 3.958 1.516
H 1.746 1.308 4.040
H 1.097 0.935 2.342
H -0.599 -0.085 4.783
H -2.346 -1.919 3.871
H -3.664 -1.512 1.558
H -3.288 0.809 0.139
H -1.552 2.634 1.037
H 2.089 0.111 0.576
H 2.696 -2.434 0.640
C -2.834 -1.945 -5.182
C -3.932 -1.631 -4.170
C -3.793 -0.237 -3.524
O -2.788 -0.156 -2.514
C -1.474 0.040 -3.009
N -3.966 -2.695 -3.159
H -1.882 -2.191 -4.707
H -3.117 -2.808 -5.791
H -2.671 -1.102 -5.859
H -4.883 -1.644 -4.713
H -4.736 -0.006 -3.018
H -3.647 0.545 -4.278
H -1.459 0.667 -3.904
H -1.000 -0.922 -3.209
H -0.891 0.537 -2.228
H -4.760 -2.533 -2.541
H -3.157 -2.561 -2.551
*
```

Output
Strongest force on any atom, eV/A: 4.90
LUMO, eV: -3.2
Energy relative to the best compared isomer or geometry (same formula, charge and spin), kcal/mol: 125.62

=====

3.
# C18H27NO3S

The molecule C18H27NO3S at a distorted geometry (ωB97M-V/def2-TZVPD, OMol25).

Structure (ORCA input):
```
! RIJCOSX wB97M-V def2-TZVPD def2/J DEFGRID3
* xyz 0 1
=====

Shang Jiuxi continued to study the baggage in the small garden, and spoke cross-talk in a down-to-earth manner. Until the second half of 2019, 4 years after worshiping the teacher, Shang Jiuxi became a dark horse "killed" from the small garden, and his partner skipped the "Three Treasures" (a form of performance of the Deyun Society, three pairs of actors performed in the Thousand People Theater) and directly walked onto the cross-talk special, which is unique on the stage of the Deyun Society.

Shang Jiuxi: Deyun She's worst "Pickpocket Coat", now chasing the light rap out of the circle, opening a slash life

From "Liu Laogen'er" exchange student to slash life

According to the custom of the Deyun Society, the cross-talk actor who has opened a special show will be a big hit and a big name.

Shang Jiuxi was an exception.

Not long after the end of the last special performance, the partner who had worked together for 7 years proposed a "breakup", and the two people who had a tacit understanding parted ways. This is undoubtedly a huge blow to Shang Jiuxi.

During that time, in order to help Shang Jiuxi come out, the Deyun Society arranged for Shang Jiuxi to participate in the Deyun Society's group roundup "Deyun Dou Laughing Society", and in the face of a group of teachers and brothers, Shang Jiuxi became a "man living in the tidbits".

Months late, the #Deyun Society # Deyun Society opened the box, Shang Jiuxi and master Guo Degang partnered in "PickpocketIng Horse Coat", but was rated by netizens as: the worst "Pickpocketing Horse Coat" in history, compared to Yue Yunpeng and Burnt Cakes, they are far worse than not to say, even zhang Jiuling and Wang Jiulong before them.

Shang Jiuxi: Deyun She's worst "Pickpocket Coat", now chasing the light rap out of the circle, opening a slash life

Seeing that Shang Jiuxi was in difficulty, the Shi brothers spared no effort to help him. In the face of various comments, Shang Jiuxi never responded positively, but secretly competed with himself and continued to work hard for those unfinished dreams.

What happens at each stage should be gladly accepted, whether it is good or bad. Because they will all turn into some precipitation and perception, helping me to sort out the direction more clearly and freely pursue a self-consistent personality.

On January 30, 2021, Shang Jiuxi bid farewell to superstar Kobe Bryant with a small essay of thousands of words, missing the youthful and simple self, and also calmly facing his "magical" 2020 and welcoming the new 2021.

Shang Jiuxi: Deyun She's worst "Pickpocket Coat", now chasing the light rap out of the circle, opening a slash life
Shang Jiuxi: Deyun She's worst "Pickpocket Coat", now chasing the light rap out of the circle, opening a slash life

In April 2021, Shang Jiuxi ushered in his new partner and started a new journey of his cross-talk career.

In August 2021, Shang Jiuxi stood on the stage of "Deyun Dou Laughing Society" for the second time, this time he opened up more, and strived to be worthy of the four big characters of "Hai Na Bai Chuan" given by master Guo Degang.

In November 2021, Shang Jiuxi, as a cross-talk actor, appeared in "Chasing the Light!" Stage, open your own slash life.

Shang Jiuxi: Deyun She's worst "Pickpocket Coat", now chasing the light rap out of the circle, opening a slash life

In "Chase the Light! Before "," most people only knew the identity of Shang Jiuxi's cross-talk actor, but they didn't know that as early as a few years ago, he created his own fashion brand - "Deyun Guillotine Lifestyle".

This is not a personal brand in the traditional sense, but extends his symbolic characteristics in Deyun Society into a life concept and lifestyle, and conveys it to more people.

It is precisely because of his unique insight into tide brands that he connects with Wu Jianhao, who is also a tide brand master.

It is not difficult to explain why Shang Jiuxi and Wu Jianhao are obviously in different circles, and the two people who seem to have no intersection are in "Chasing the Light!" The first time the show met, it was so familiar that Shang Jiuxi would not hesitate to join the "6 Times the Speed of Light" studio.

Shang Jiuxi: Deyun She's worst "Pickpocket Coat", now chasing the light rap out of the circle, opening a slash life

Chase the Light! On the stage, Shang Jiuxi surprised the audience the most was his rap.

The rap lyrics created with heart and closely following the theme in "Suzhou Creek" let the audience see Shang Jiuxi's creative strength and also amazed Jin Jie.

The passionate interpretation of the song "Nezha" and the sharp and decisive look at the end let the audience see a domineering and confident Shang Jiuxi.

From the beginning of the personal stage to the upcoming final stage, #Shang Jiuxi #Shang Jiuxi is stepping out of his comfort zone step by step and towards a bigger stage.